-- Data --
~~~
A relaxed Nd6Mo10O39 crystal, computed with PBE+U.

Cell lengths 11.9167, 11.9167, 14.1642 Å; angles 84.16, 84.16, 115.89 degrees
Closest atoms and distances in Å follow each position.
Fractional positions:
O 0.0382 0.4402 0.5816  1 Mo 1.78
O 0.7858 0.6557 0.3878  1 Mo 1.77
O 0.7246 0.7344 0.5867  1 Mo 1.80
O 0.2345 0.6744 0.4302  1 Mo 1.83
O 0.4635 0.5676 0.6400  1 Mo 1.78
O 0.2656 0.2754 0.9133  1 Mo 1.80
O 0.3256 0.7655 0.0698  1 Mo 1.83
O 0.8581 0.3590 0.7559  1 Mo 1.82
O 0.5365 0.4324 0.3600  1 Mo 1.78
O 0.5221 0.2014 0.2651  1 Mo 1.78
O 0.7768 0.4362 0.0322  1 Mo 1.84
O 0.9940 0.4363 0.1242  1 Mo 1.79
O 0.0791 0.3708 0.2983  1 Mo 1.76
O 0.1419 0.6410 0.2441  1 Mo 1.82
O 0.1722 0.3259 0.1113  1 Mo 1.77
O 0.5637 0.0060 0.3758  1 Mo 1.79
O 0.1066 0.8272 0.3554  1 Mo 1.79
O 0.8742 0.1258 0.2500  2 Mo 1.91
O 0.0060 0.5637 0.8758  1 Mo 1.79
O 0.1258 0.8742 0.7500  2 Mo 1.91
O 0.8934 0.1728 0.6446  1 Mo 1.79
O 0.5676 0.4635 0.1400  1 Mo 1.78
O 0.3334 0.0223 0.4223  1 Mo 1.78
O 0.6557 0.7858 0.8878  1 Mo 1.77
O 0.0627 0.8471 0.5545  1 Mo 1.76
O 0.5598 0.9618 0.9184  1 Mo 1.78
O 0.2939 0.8164 0.8662  1 Mo 1.76
O 0.8272 0.1066 0.8554  1 Mo 1.79
O 0.1836 0.7061 0.6338  1 Mo 1.76
O 0.6290 0.4598 0.5652  1 Mo 1.84
O 0.3259 0.1722 0.6113  1 Mo 1.77
O 0.8278 0.6741 0.8887  1 Mo 1.77
O 0.8699 0.8811 0.7357  1 Mo 1.79
O 0.2014 0.5221 0.7651  1 Mo 1.78
O 0.9182 0.9224 0.9349  1 Mo 1.84
O 0.4324 0.5365 0.8600  1 Mo 1.78
O 0.4598 0.6290 0.0652  1 Mo 1.84
O 0.1301 0.1189 0.2643  1 Mo 1.79
O 0.6599 0.5467 0.7549  1 Mo 1.82
O 0.5402 0.3710 0.9348  1 Mo 1.84
O 0.1728 0.8934 0.1446  1 Mo 1.79
O 0.4533 0.3401 0.7451  1 Mo 1.82
O 0.0776 0.0818 0.5651  1 Mo 1.84
O 0.6744 0.2345 0.9302  1 Mo 1.83
O 0.7655 0.3256 0.5698  1 Mo 1.83
O 0.3590 0.8581 0.2559  1 Mo 1.82
O 0.6292 0.9209 0.2017  1 Mo 1.76
O 0.1189 0.1301 0.7643  1 Mo 1.79
O 0.8164 0.2939 0.3662  1 Mo 1.76
O 0.8471 0.0627 0.0545  1 Mo 1.76
O 0.3401 0.4533 0.2451  1 Mo 1.82
O 0.4363 0.9940 0.6242  1 Mo 1.79
O 0.6666 0.9777 0.5777  1 Mo 1.78
O 0.2232 0.5638 0.9678  1 Mo 1.84
O 0.9618 0.5598 0.4184  1 Mo 1.78
O 0.2754 0.2656 0.4133  1 Mo 1.80
O 0.3710 0.5402 0.4348  1 Mo 1.84
O 0.2142 0.3443 0.6122  1 Mo 1.77
O 0.5638 0.2232 0.4678  1 Mo 1.84
O 0.8811 0.8699 0.2357  1 Mo 1.79
O 0.9224 0.9182 0.4349  1 Mo 1.84
O 0.4402 0.0382 0.0816  1 Mo 1.78
O 0.3708 0.0791 0.7983  1 Mo 1.76
O 0.1529 0.9373 0.9455  1 Mo 1.76
O 0.6741 0.8278 0.3887  1 Mo 1.77
O 0.5467 0.6599 0.2549  1 Mo 1.82
O 0.0818 0.0776 0.0651  1 Mo 1.84
O 0.7344 0.7246 0.0867  1 Mo 1.80
O 0.4779 0.7986 0.7349  1 Mo 1.78
O 0.7061 0.1836 0.1338  1 Mo 1.76
O 0.9777 0.6666 0.0777  1 Mo 1.78
O 0.7986 0.4779 0.2349  1 Mo 1.78
O 0.0223 0.3334 0.9223  1 Mo 1.78
O 0.9209 0.6292 0.7017  1 Mo 1.76
O 0.4362 0.7768 0.5322  1 Mo 1.84
O 0.6410 0.1419 0.7441  1 Mo 1.82
O 0.9373 0.1529 0.4455  1 Mo 1.76
O 0.3443 0.2142 0.1122  1 Mo 1.77
Nd 0.4390 0.7357 0.9145  8 O 2.36-2.60
Nd 0.2643 0.5610 0.5855  8 O 2.36-2.60
Nd 0.1465 0.0302 0.4158  7 O 2.28-2.54
Nd 0.7825 0.4717 0.8529  7 O 2.35-2.60
Nd 0.7357 0.4390 0.4145  8 O 2.36-2.60
Nd 0.5610 0.2643 0.0855  8 O 2.36-2.60
Nd 0.9698 0.8535 0.0842  7 O 2.28-2.54
Nd 0.5283 0.2175 0.6471  7 O 2.35-2.60
Nd 0.0302 0.1465 0.9158  7 O 2.28-2.54
Nd 0.8535 0.9698 0.5842  7 O 2.28-2.54
Nd 0.4717 0.7825 0.3529  7 O 2.35-2.60
Nd 0.2175 0.5283 0.1471  7 O 2.35-2.60
Mo 0.1840 0.1847 0.6389  4 O 1.77-1.84
Mo 0.4989 0.1155 0.3816  4 O 1.78-1.84
Mo 0.8845 0.5011 0.1184  4 O 1.78-1.84
Mo 0.9306 0.2400 0.3396  4 O 1.76-1.91
Mo 0.5741 0.6159 0.1384  4 O 1.78-1.84
Mo 0.5011 0.8845 0.6184  4 O 1.78-1.84
Mo 0.6159 0.5741 0.6384  4 O 1.78-1.84
Mo 0.0694 0.7600 0.6604  4 O 1.76-1.91
Mo 0.1155 0.4989 0.8816  4 O 1.78-1.84
Mo 0.2400 0.9306 0.8396  4 O 1.76-1.91
Mo 0.1138 0.6794 0.3624  4 O 1.78-1.83
Mo 0.4259 0.3841 0.8616  4 O 1.78-1.84
Mo 0.3206 0.8862 0.1376  4 O 1.78-1.83
Mo 0.8153 0.8160 0.8611  4 O 1.77-1.84
Mo 0.8160 0.8153 0.3611  4 O 1.77-1.84
Mo 0.7600 0.0694 0.1604  4 O 1.76-1.91
Mo 0.1847 0.1840 0.1389  4 O 1.77-1.84
~~~
-- Assignment --
Duplicate the lines earlier on from the one with "0.3758" to the one with "0.0060 0.5637" without additions.
-- Result --
O 0.5637 0.0060 0.3758  1 Mo 1.79
O 0.1066 0.8272 0.3554  1 Mo 1.79
O 0.8742 0.1258 0.2500  2 Mo 1.91
O 0.0060 0.5637 0.8758  1 Mo 1.79